### Entries
1.
The following is a quantum chemistry calculation of C3H7BNa5O7 as an isolated structure at a distorted geometry, from the OMol25 dataset.

Atoms and positions in Å:
Na  -1.587  -0.915  2.473
Na  -2.845  -1.042  -0.870
Na  -0.774  1.155  0.095
Na  0.428  -1.500  -2.376
Na  1.999  0.170  0.854
C  2.044  1.045  -1.926
O  2.303  1.418  -3.039
O  2.392  -0.131  -1.628
O  1.379  1.674  -1.055
C  -1.591  0.223  -3.152
O  -1.867  -1.019  -3.186
O  -1.640  0.820  -2.085
O  -1.127  0.672  -4.236
B  -0.206  -1.711  0.135
H  -0.440  -2.626  0.657
H  -0.366  -0.849  0.765
H  0.838  -1.729  -0.135
H  -0.852  -1.656  -0.728
C  0.386  1.228  3.872
O  0.291  0.833  2.510
H  0.314  2.283  4.132
H  -0.356  0.800  4.546
H  1.277  0.856  4.378

Computed properties:
- LUMO: -0.01 eV
- Charge: -1
- E_HOMO: -2.2 eV
- 2S+1: 1
- Strongest force on any atom: 0.1271 Eh/bohr
- Energy relative to the best compared isomer or geometry (same formula, charge and spin): 0.000 eV

=====

2.
The following is a quantum chemistry calculation of one molecule with the formula C3H7BO at a distorted geometry, from the OMol25 dataset.

Atoms and positions in Å:
B  -2.789  0.766  -0.154
C  0.415  0.512  -0.254
C  -0.475  -0.195  0.378
C  1.821  0.764  0.030
O  -2.068  -0.344  0.042
H  -2.332  1.763  -0.172
H  -3.902  0.490  -0.204
H  -0.049  0.939  -1.064
H  -0.387  -0.659  1.342
H  2.178  1.649  -0.386
H  1.974  0.791  1.152
H  2.310  -0.070  -0.472

Computed properties:
- LUMO (spin up / spin down): 0.88 / -2.38 eV
- E_HOMO (spin up / spin down): -5.3 / -10.9 eV
- 2S+1: 3
- Strongest force on any atom: 0.2764 Eh/bohr
- Expectation value of S²: 2.0071
- Energy relative to the best compared isomer or geometry (same formula, charge and spin): 1.939 eV

=====

3.
The following is a quantum chemistry calculation of one molecule with the formula C3H7BS3 at a distorted geometry, from the OMol25 dataset.

Atoms and positions in Å:
B  -0.154  -0.801  0.030
C  2.730  -1.277  -0.681
C  3.253  0.046  -0.094
C  -2.706  0.212  0.168
S  1.243  -1.980  0.114
S  4.790  0.328  0.288
S  -1.720  -1.206  0.734
H  2.632  -1.146  -1.759
H  3.447  -2.075  -0.614
H  -0.106  0.351  -0.404
H  2.491  0.794  0.135
H  -2.927  0.155  -0.935
H  -2.427  1.176  0.511
H  -3.792  -0.043  0.465

Computed properties:
- LUMO: -0.38 eV
- E_HOMO: -8.8 eV
- SMILES: CSBSCC=S
- 2S+1: 1
- Strongest force on any atom: 0.0796 Eh/bohr
- Energy relative to the best compared isomer or geometry (same formula, charge and spin): 1.862 eV

=====

4.
The following is a quantum chemistry calculation of C3H7Br3N2O4 as an isolated structure at a distorted geometry, from the OMol25 dataset.

Atoms and positions in Å:
C  -0.114  -2.478  0.916
N  -0.938  -1.727  -0.070
O  -0.760  -1.887  -1.248
O  -1.790  -1.013  0.418
H  -0.445  -2.205  1.908
H  0.955  -2.299  0.854
H  -0.288  -3.529  0.683
C  2.294  0.089  -0.798
N  2.031  1.002  0.348
O  1.085  0.733  1.068
O  2.728  1.987  0.432
H  2.191  -0.936  -0.452
H  3.244  0.319  -1.262
H  1.495  0.190  -1.535
C  -2.229  2.276  -0.204
Br  -3.360  2.254  1.354
Br  -1.489  4.047  -0.571
Br  -3.164  1.626  -1.819
H  -1.447  1.552  -0.022

Computed properties:
- LUMO: -0.11 eV
- E_HOMO: -10.0 eV
- 2S+1: 1
- Strongest force on any atom: 0.0237 Eh/bohr
- Energy relative to the best compared isomer or geometry (same formula, charge and spin): 0.187 eV

=====

5.
The following is a quantum chemistry calculation of C3H7BrClNO as an isolated structure at a distorted geometry, from the OMol25 dataset.

Atoms and positions in Å:
C  -1.486  0.656  0.742
C  1.152  0.549  0.365
C  -0.245  0.751  -0.075
N  -0.526  -1.673  -0.853
O  2.066  0.718  -0.721
Cl  0.110  -2.529  0.503
Br  0.409  -2.033  -2.378
H  -1.298  0.474  1.837
H  -2.121  -0.154  0.520
H  -2.093  1.449  0.415
H  1.392  1.365  1.242
H  1.456  -0.499  0.803
H  -0.624  0.905  -1.012
H  1.808  0.023  -1.389

Computed properties:
- LUMO (spin up / spin down): -1.46 / -0.27 eV
- E_HOMO (spin up / spin down): -7.9 / -9.2 eV
- 2S+1: 1
### Work order
Return the lines above from the line with "-0.022" to the end word for word.
### Response
H  -1.447  1.552  -0.022

Computed properties:
- LUMO: -0.11 eV
- E_HOMO: -10.0 eV
- 2S+1: 1
- Strongest force on any atom: 0.0237 Eh/bohr
- Energy relative to the best compared isomer or geometry (same formula, charge and spin): 0.187 eV

=====

5.
The following is a quantum chemistry calculation of C3H7BrClNO as an isolated structure at a distorted geometry, from the OMol25 dataset.

Atoms and positions in Å:
C  -1.486  0.656  0.742
C  1.152  0.549  0.365
C  -0.245  0.751  -0.075
N  -0.526  -1.673  -0.853
O  2.066  0.718  -0.721
Cl  0.110  -2.529  0.503
Br  0.409  -2.033  -2.378
H  -1.298  0.474  1.837
H  -2.121  -0.154  0.520
H  -2.093  1.449  0.415
H  1.392  1.365  1.242
H  1.456  -0.499  0.803
H  -0.624  0.905  -1.012
H  1.808  0.023  -1.389

Computed properties:
- LUMO (spin up / spin down): -1.46 / -0.27 eV
- E_HOMO (spin up / spin down): -7.9 / -9.2 eV
- 2S+1: 1